Please restate the part of the calculation results below that starts with the line with "fmax_ev_per_a" and stops after the one with "-1,".

{
  "formula": "C45H26Cl5F19GaN3OSSb",
  "method": "ωB97M-V/def2-TZVPD",
  "species": ["Ga", "C", "N", "C", "C", "N", "C", "C", "F", "C", "F", "C", "F", "C", "F", "C", "F", "C", "C", "N", "C", "C", "F", "C", "F", "C", "F", "C", "F", "C", "F", "H", "H", "H", "H", "H", "H", "H", "H", "H", "H", "H", "S", "Sb", "C", "C", "C", "C", "C", "C", "C", "C", "C", "C", "C", "C", "C", "C", "C", "C", "C", "C", "H", "H", "H", "H", "H", "H", "H", "H", "H", "H", "H", "H", "H", "H", "H", "Cl", "C", "C", "C", "Cl", "C", "Cl", "C", "Cl", "C", "Cl", "F", "C", "F", "F", "C", "O", "C", "F", "F", "F", "C", "F", "F", "F"],
  "positions_angstrom": [[1.845, -1.183, 0.961], [4.216, 0.949, 0.439], [3.986, -0.392, 0.975], [4.576, -1.418, 0.107], [3.823, -1.453, -1.208], [2.401, -1.421, -0.925], [1.545, -1.756, -1.921], [0.183, -1.927, -1.630], [-0.210, -1.706, -0.363], [-0.790, -2.218, -2.553], [-2.064, -2.365, -2.178], [-0.450, -2.360, -3.889], [-1.384, -2.635, -4.819], [0.870, -2.189, -4.239], [1.231, -2.294, -5.529], [1.835, -1.896, -3.288], [3.089, -1.715, -3.766], [4.468, -0.500, 2.351], [3.830, -1.690, 3.041], [2.407, -1.658, 2.788], [1.555, -2.293, 3.632], [0.182, -2.294, 3.336], [-0.218, -1.635, 2.225], [-0.796, -2.893, 4.090], [-2.074, -2.826, 3.706], [-0.454, -3.559, 5.254], [-1.387, -4.153, 6.016], [0.878, -3.590, 5.603], [1.252, -4.238, 6.718], [1.847, -2.978, 4.825], [3.120, -3.130, 5.265], [5.292, 1.141, 0.331], [3.738, 1.055, -0.533], [3.788, 1.689, 1.112], [5.645, -1.226, -0.055], [4.463, -2.382, 0.605], [4.137, -0.618, -1.845], [4.110, -2.372, -1.725], [5.563, -0.586, 2.372], [4.185, 0.416, 2.873], [4.281, -2.628, 2.690], [4.061, -1.605, 4.101], [-2.387, 0.762, 0.211], [-2.948, 2.467, -1.120], [-5.038, 2.295, -1.433], [-5.914, 3.338, -1.152], [-7.287, 3.133, -1.216], [-7.785, 1.886, -1.560], [-6.913, 0.842, -1.837], [-5.543, 1.040, -1.762], [-2.733, 4.317, -0.131], [-2.356, 4.234, 1.207], [-2.229, 5.393, 1.961], [-2.477, 6.630, 1.385], [-2.853, 6.716, 0.052], [-2.982, 5.561, -0.707], [-2.139, 2.574, -3.054], [-1.811, 3.762, -3.696], [-1.287, 3.722, -4.982], [-1.085, 2.505, -5.617], [-1.407, 1.319, -4.973], [-1.933, 1.353, -3.690], [-5.533, 4.314, -0.875], [-7.965, 3.947, -0.991], [-8.855, 1.723, -1.601], [-7.300, -0.136, -2.092], [-4.871, 0.207, -1.935], [-2.157, 3.262, 1.646], [-1.923, 5.325, 2.997], [-2.368, 7.532, 1.974], [-3.046, 7.681, -0.399], [-3.302, 5.643, -1.739], [-1.928, 4.715, -3.199], [-1.024, 4.645, -5.483], [-0.662, 2.479, -6.614], [-1.238, 0.365, -5.458], [-2.158, 0.424, -3.177], [0.957, 0.713, 3.892], [1.061, 1.552, 2.369], [1.141, 0.873, 1.145], [1.017, 1.732, 0.043], [0.832, 1.089, -1.551], [0.974, 3.121, 0.117], [0.861, 4.093, -1.313], [1.011, 3.745, 1.354], [1.021, 5.465, 1.470], [1.014, 2.949, 2.489], [0.968, 3.726, 4.037], [2.408, -6.681, 1.986], [2.093, -5.379, 2.112], [3.142, -4.781, 2.683], [1.073, -5.310, 2.976], [1.723, -4.676, 0.752], [1.843, -3.357, 0.854], [0.286, -5.161, 0.360], [0.050, -4.965, -0.947], [-0.647, -4.496, 1.037], [0.095, -6.473, 0.593], [2.731, -5.196, -0.332], [2.561, -6.483, -0.677], [2.649, -4.475, -1.453], [3.994, -5.068, 0.118]],
  "de_lowest_kcal_mol": 0.0,
  "homo_ha": -0.1872,
  "e_lumo_ev": 2.0,
  "fmax_ev_per_a": 0.63,
  "charge": -1,
  "total_energy_ha": -8731.661260
}

***

{
  "formula": "C45H29AsBr2CdF4N3OPS2",
  "method": "ωB97M-V/def2-TZVPD",
  "species": ["Cd", "S", "C", "C", "N", "C", "S", "C", "N", "F", "C", "C", "F", "C", "F", "C", "P", "C", "C", "C", "C", "C", "C", "C", "C", "C", "C", "C", "C", "C", "Br", "C", "F", "H", "H", "H", "H", "H", "H", "H", "H", "H", "H", "O", "C", "C", "C", "N", "C", "Br", "C", "H", "H", "H", "H", "C", "C", "C", "C", "C", "C", "As", "C", "C", "C", "C", "C", "C", "C", "C", "C", "C", "C", "C", "H", "H", "H", "H", "H", "H", "H", "H", "H", "H", "H", "H", "H", "H", "H"],

  "fmax_ev_per_a": 0.63,
  "charge": -1,